Activity =
Now search the material further below for the word "O1" and transcribe each line that has it.

Source =
+++
# NaC2NO3

A geometry-optimized NaC2NO3 structure (GGA-PBE, the Materials Project).

abc: 3.6248 5.4232 20.5219
angles: 90.00 98.96 90.00
With the nearest neighbours (Å) after each atom.
Fractional coordinates of all 28 atoms:
Na1 0.1657 0.1636 0.1897  6 O 2.36-2.55
Na2 0.1657 0.3364 0.6897  6 O 2.36-2.55
Na3 0.8343 0.6636 0.3103  6 O 2.36-2.55
Na4 0.8343 0.8364 0.8103  6 O 2.36-2.55
C1 0.3368 0.5847 0.0898  1 O 1.26, 1 N 1.34
C2 0.3368 0.9153 0.5898  1 O 1.26, 1 N 1.34
C3 0.4185 0.1554 0.3420  2 O 1.26
C4 0.4185 0.3446 0.8420  2 O 1.26
C5 0.5815 0.6554 0.1580  2 O 1.26
C6 0.5815 0.8446 0.6580  2 O 1.26
C7 0.6632 0.0847 0.4102  1 O 1.26, 1 N 1.34
C8 0.6632 0.4153 0.9102  1 O 1.26, 1 N 1.34
N1 0.2928 0.7419 0.5430  1 C 1.34
N2 0.2928 0.7581 0.0430  1 C 1.34
N3 0.7072 0.2419 0.9570  1 C 1.34
N4 0.7072 0.2581 0.4570  1 C 1.34
O1 0.1890 0.1252 0.5828  1 C 1.26
O2 0.1890 0.3748 0.0828  1 C 1.26
O3 0.3317 0.1207 0.8340  1 C 1.26
O4 0.3317 0.3793 0.3340  1 C 1.26
O5 0.3423 0.5193 0.8015  1 C 1.26
O6 0.3423 0.9807 0.3015  1 C 1.26
O7 0.6577 0.0193 0.6985  1 C 1.26
O8 0.6577 0.4807 0.1985  1 C 1.26
O9 0.6683 0.6207 0.6660  1 C 1.26
O10 0.6683 0.8793 0.1660  1 C 1.26
O11 0.8110 0.6252 0.9172  1 C 1.26
O12 0.8110 0.8748 0.4172  1 C 1.26

Computed properties:
Calculated density, g/cm³: 1.817
M_tot, μB per atom: 0.286
Energy of formation, meV per atom: -831
Relative energy among the computed polymorphs, kJ per mole of atoms: 50.4
Total energy, eV/cell: -186.9


# Na3Si

A geometry-optimized Na3Si structure (GGA-PBE, the Materials Project).

abc: 5.1762 5.1762 5.1762
angles: 60.00 60.00 60.00
With the nearest neighbours (Å) after each atom.
Fractional coordinates of all 4 atoms:
Na1 0.0000 0.0000 0.0000  8 Na 3.17
Na2 0.2500 0.2500 0.2500  4 Si 3.17, 4 Na 3.17
Na3 0.7500 0.7500 0.7500  4 Si 3.17, 4 Na 3.17
Si1 0.5000 0.5000 0.5000  8 Na 3.17

Computed properties:
Calculated density, g/cm³: 1.643
M_tot, μB per atom: 0.005
Energy of formation, meV per atom: 179
Total energy, eV/cell: -8.7


# Nb3Bi5O15

A geometry-optimized Nb3Bi5O15 structure (GGA-PBE, the Materials Project).

abc: 22.1221 5.5257 5.5983
angles: 90.00 90.00 90.00
With the nearest neighbours (Å) after each atom.
Fractional coordinates of all 46 atoms:
Nb1 0.0000 0.0000 0.0000  4 O 1.89-2.02
Nb2 0.0000 0.5000 0.5000  4 O 1.89-2.02
Nb3 0.3915 0.0018 0.5179  3 O 1.81-1.97
Nb4 0.3915 0.4982 0.0179  3 O 1.81-1.97
Nb5 0.6085 0.5018 0.0179  3 O 1.81-1.97
Nb6 0.6085 0.9982 0.5179  3 O 1.81-1.97
Bi1 0.1239 0.5247 0.0607  4 O 2.28-2.38
Bi2 0.1239 0.9753 0.5607  4 O 2.28-2.38
Bi3 0.2414 0.0119 0.0201  4 O 2.22-2.33
Bi4 0.2414 0.4881 0.5201  4 O 2.22-2.33
Bi5 0.5000 0.0000 0.0944  3 O 2.16-2.39
Bi6 0.5000 0.5000 0.5944  3 O 2.16-2.39
Bi7 0.7586 0.5119 0.5201  4 O 2.22-2.33
Bi8 0.7586 0.9881 0.0201  4 O 2.22-2.33
Bi9 0.8761 0.0247 0.5607  4 O 2.28-2.38
Bi10 0.8761 0.4753 0.0607  4 O 2.28-2.38
O1 0.0224 0.2448 0.7056  1 Nb 1.89
O2 0.0224 0.2552 0.2056  1 Nb 1.89
O3 0.0857 0.6055 0.4330  1 Nb 2.02
O4 0.0857 0.8945 0.9330  1 Nb 2.02
O5 0.1906 0.2422 0.7658  3 Bi 2.22-2.38
O6 0.1906 0.2578 0.2658  3 Bi 2.22-2.38
O7 0.1923 0.7443 0.7622  3 Bi 2.24-2.33
O8 0.1923 0.7557 0.2622  3 Bi 2.24-2.33
O9 0.3098 0.0065 0.5117  1 Nb 1.81
O10 0.3098 0.4935 0.0117  1 Nb 1.81
O11 0.4098 0.2067 0.2084  2 Nb 1.97-2.11
O12 0.4098 0.2933 0.7084  2 Nb 1.97-2.11
O13 0.4112 0.7299 0.2694  2 Nb 1.95-2.09
O14 0.4112 0.7701 0.7694  2 Nb 1.95-2.09
O15 0.5000 0.0000 0.4797  1 Bi 2.16, 2 Nb 2.41
O16 0.5000 0.5000 0.9797  1 Bi 2.16, 2 Nb 2.41
O17 0.5888 0.2299 0.7694  2 Nb 1.95-2.09
O18 0.5888 0.2701 0.2694  2 Nb 1.95-2.09
O19 0.5902 0.7067 0.7084  2 Nb 1.97-2.11
O20 0.5902 0.7933 0.2084  2 Nb 1.97-2.11
O21 0.6902 0.5065 0.0117  1 Nb 1.81
O22 0.6902 0.9935 0.5117  1 Nb 1.81
O23 0.8077 0.2443 0.2622  3 Bi 2.24-2.33
O24 0.8077 0.2557 0.7622  3 Bi 2.24-2.33
O25 0.8094 0.7422 0.2658  3 Bi 2.22-2.38
O26 0.8094 0.7578 0.7658  3 Bi 2.22-2.38
O27 0.9143 0.1055 0.9330  1 Nb 2.02
O28 0.9143 0.3945 0.4330  1 Nb 2.02
+++

Solution =
O1 0.1890 0.1252 0.5828  1 C 1.26
O1 0.0224 0.2448 0.7056  1 Nb 1.89